Given =
-- begin --
# 1
MnCoB | Materials Project | PBE | optimized geometry; energy relative to the elements = -0.31 eV per atom
1.0
0.000 3.526 3.607
2.093 0.000 3.607
2.093 3.526 0.000
Mn Co B
2 2 2
Cartesian
2.093 2.385 3.607
2.093 4.668 3.607
2.093 3.526 1.202
2.093 3.526 6.012
3.140 5.289 5.411
1.047 1.763 1.804

# 2
MnCo21B6Mo | Materials Project | PBE | optimized geometry; energy relative to the elements = -0.12 eV per atom
1.0
2.490 2.666 6.389
-4.636 1.008 5.622
0.381 -4.366 5.909
Mn Co B Mo
1 21 6 1
Cartesian
-0.441 -0.173 4.480
0.127 -1.471 2.006
1.769 0.288 6.220
-2.932 -0.806 5.715
0.080 2.097 6.124
-1.563 0.339 1.909
-1.312 -2.541 5.808
-2.221 1.562 5.877
1.088 -1.983 6.066
0.837 0.897 2.167
0.250 -2.881 3.914
-3.060 0.664 3.725
1.641 1.758 4.230
-1.268 1.618 8.291
1.083 -0.899 8.425
-2.256 -1.676 8.066
-1.089 -0.427 11.059
-0.480 -2.400 9.660
-2.937 0.232 9.520
0.553 1.044 9.895
-0.666 -0.261 6.766
0.000 0.000 0.000
-1.451 1.464 10.334
-2.573 0.263 7.457
0.636 1.010 7.802
-0.314 -2.156 7.587
0.807 -0.955 10.463
-2.401 -1.702 10.118
-1.324 -0.519 13.440

# 3
Co2B4Mo | Materials Project | PBE | optimized geometry; energy relative to the elements = -0.40 eV per atom
1.0
-0.649 4.317 4.940
-1.333 6.345 1.195
-1.105 -5.811 -2.910
Co B Mo
2 4 1
Cartesian
-1.614 8.683 4.997
-0.368 1.979 1.139
-2.062 4.798 1.750
-1.026 0.053 1.475
-0.691 3.714 2.137
-1.292 6.948 3.998
-1.219 0.267 -0.857

# 4
CoB2Mo2 | Materials Project | PBE | optimized geometry; energy relative to the elements = -0.49 eV per atom
1.0
3.164 0.000 0.000
1.582 2.288 3.567
1.582 -2.288 3.567
Co B Mo
1 2 2
Cartesian
0.000 0.000 0.000
3.164 0.935 3.567
3.164 -0.935 3.567
4.746 0.000 4.993
1.582 0.000 2.141

# 5
Nb2Co21B6 | Materials Project | PBE | optimized geometry; energy relative to the elements = -0.26 eV per atom
1.0
1.434 6.341 -3.595
-4.044 1.902 -5.935
-4.779 5.672 0.424
Nb Co B
2 21 6
Cartesian
-1.847 3.479 -2.276
-5.541 10.436 -6.829
0.000 0.000 0.000
-2.164 8.292 -5.168
-4.718 6.222 -6.259
-5.061 7.980 -3.294
-2.833 5.336 -3.492
-5.224 5.623 -3.938
-2.670 7.693 -2.847
-2.327 5.935 -5.812
-4.555 8.580 -5.614
0.950 4.201 -2.382
-0.663 6.116 -2.239
-0.415 4.843 -4.384
-4.292 3.174 -3.789
-2.679 1.260 -3.932
-2.195 3.400 -5.145
-4.531 4.400 -1.722
-2.682 5.898 -0.932
-3.166 3.758 0.281
0.484 2.140 -1.213
-1.365 0.642 -2.003
-1.613 1.914 0.143
-1.382 6.680 -4.121
-3.537 9.237 -3.930
-3.205 7.537 -6.797
-6.006 7.235 -4.985
-3.852 4.678 -5.176
-4.183 6.378 -2.309

# 6
Nb3Co5B2 | Materials Project | PBE | optimized geometry; energy relative to the elements = -0.31 eV per atom
1.0
-7.777 -3.292 -0.228
3.300 -7.753 -0.618
0.012 -0.252 3.232
Nb Co B
6 10 4
Cartesian
-4.672 -3.579 -0.262
0.195 -7.465 -0.584
-0.289 -3.096 -0.241
-4.188 -7.949 -0.605
0.000 0.000 0.000
-2.239 -5.522 -0.423
-3.883 -1.772 1.502
1.656 -4.002 1.307
-1.482 -1.392 1.523
-2.984 -9.905 0.864
2.036 -6.396 1.119
-4.180 -5.836 1.186
-6.501 -4.901 1.267
-0.286 -5.461 1.200
-2.045 -7.589 1.041
-2.420 -3.708 1.345
1.122 -5.179 -0.409
-5.599 -5.866 -0.437
-1.895 -8.873 -0.686
-2.583 -2.172 -0.160

# 7
Nb3Co4B7 | Materials Project | PBE | optimized geometry; energy relative to the elements = -0.59 eV per atom
1.0
5.315 6.589 -3.948
-6.472 -3.989 5.426
6.028 -0.989 6.463
Nb Co B
6 8 14
Cartesian
3.261 3.147 0.499
1.608 -1.536 7.442
3.720 1.606 3.568
1.150 0.005 4.372
-1.200 0.390 1.852
6.070 1.220 6.088
1.425 1.499 1.959
3.445 0.112 5.981
4.980 4.689 -0.868
-0.110 -3.078 8.808
6.013 3.984 1.182
-1.144 -2.373 6.759
-4.096 -1.889 3.593
8.965 3.499 4.347
6.296 5.870 -1.914
-1.426 -4.259 9.855
7.925 4.787 1.267
-3.056 -3.177 6.674
-4.288 -2.974 5.352
9.158 4.585 2.589
5.784 2.885 2.936
-0.915 -1.274 5.005
-2.183 -1.066 3.644
7.053 2.677 4.296
8.709 5.839 0.031
-3.840 -4.228 7.909
-5.728 -3.918 5.885
10.598 5.529 2.056

# 8
Nd2Co7B3 | Materials Project | PBE | optimized geometry; energy relative to the elements = -0.30 eV per atom
1.0
2.565 -4.443 0.000
2.565 4.443 0.000
0.000 0.000 12.707
Nd Co B
4 14 6
Cartesian
-- stop --

Exercise =
Your job: retype the whole of the contents further up exactly.

Completed =
# 1
MnCoB | Materials Project | PBE | optimized geometry; energy relative to the elements = -0.31 eV per atom
1.0
0.000 3.526 3.607
2.093 0.000 3.607
2.093 3.526 0.000
Mn Co B
2 2 2
Cartesian
2.093 2.385 3.607
2.093 4.668 3.607
2.093 3.526 1.202
2.093 3.526 6.012
3.140 5.289 5.411
1.047 1.763 1.804

# 2
MnCo21B6Mo | Materials Project | PBE | optimized geometry; energy relative to the elements = -0.12 eV per atom
1.0
2.490 2.666 6.389
-4.636 1.008 5.622
0.381 -4.366 5.909
Mn Co B Mo
1 21 6 1
Cartesian
-0.441 -0.173 4.480
0.127 -1.471 2.006
1.769 0.288 6.220
-2.932 -0.806 5.715
0.080 2.097 6.124
-1.563 0.339 1.909
-1.312 -2.541 5.808
-2.221 1.562 5.877
1.088 -1.983 6.066
0.837 0.897 2.167
0.250 -2.881 3.914
-3.060 0.664 3.725
1.641 1.758 4.230
-1.268 1.618 8.291
1.083 -0.899 8.425
-2.256 -1.676 8.066
-1.089 -0.427 11.059
-0.480 -2.400 9.660
-2.937 0.232 9.520
0.553 1.044 9.895
-0.666 -0.261 6.766
0.000 0.000 0.000
-1.451 1.464 10.334
-2.573 0.263 7.457
0.636 1.010 7.802
-0.314 -2.156 7.587
0.807 -0.955 10.463
-2.401 -1.702 10.118
-1.324 -0.519 13.440

# 3
Co2B4Mo | Materials Project | PBE | optimized geometry; energy relative to the elements = -0.40 eV per atom
1.0
-0.649 4.317 4.940
-1.333 6.345 1.195
-1.105 -5.811 -2.910
Co B Mo
2 4 1
Cartesian
-1.614 8.683 4.997
-0.368 1.979 1.139
-2.062 4.798 1.750
-1.026 0.053 1.475
-0.691 3.714 2.137
-1.292 6.948 3.998
-1.219 0.267 -0.857

# 4
CoB2Mo2 | Materials Project | PBE | optimized geometry; energy relative to the elements = -0.49 eV per atom
1.0
3.164 0.000 0.000
1.582 2.288 3.567
1.582 -2.288 3.567
Co B Mo
1 2 2
Cartesian
0.000 0.000 0.000
3.164 0.935 3.567
3.164 -0.935 3.567
4.746 0.000 4.993
1.582 0.000 2.141

# 5
Nb2Co21B6 | Materials Project | PBE | optimized geometry; energy relative to the elements = -0.26 eV per atom
1.0
1.434 6.341 -3.595
-4.044 1.902 -5.935
-4.779 5.672 0.424
Nb Co B
2 21 6
Cartesian
-1.847 3.479 -2.276
-5.541 10.436 -6.829
0.000 0.000 0.000
-2.164 8.292 -5.168
-4.718 6.222 -6.259
-5.061 7.980 -3.294
-2.833 5.336 -3.492
-5.224 5.623 -3.938
-2.670 7.693 -2.847
-2.327 5.935 -5.812
-4.555 8.580 -5.614
0.950 4.201 -2.382
-0.663 6.116 -2.239
-0.415 4.843 -4.384
-4.292 3.174 -3.789
-2.679 1.260 -3.932
-2.195 3.400 -5.145
-4.531 4.400 -1.722
-2.682 5.898 -0.932
-3.166 3.758 0.281
0.484 2.140 -1.213
-1.365 0.642 -2.003
-1.613 1.914 0.143
-1.382 6.680 -4.121
-3.537 9.237 -3.930
-3.205 7.537 -6.797
-6.006 7.235 -4.985
-3.852 4.678 -5.176
-4.183 6.378 -2.309

# 6
Nb3Co5B2 | Materials Project | PBE | optimized geometry; energy relative to the elements = -0.31 eV per atom
1.0
-7.777 -3.292 -0.228
3.300 -7.753 -0.618
0.012 -0.252 3.232
Nb Co B
6 10 4
Cartesian
-4.672 -3.579 -0.262
0.195 -7.465 -0.584
-0.289 -3.096 -0.241
-4.188 -7.949 -0.605
0.000 0.000 0.000
-2.239 -5.522 -0.423
-3.883 -1.772 1.502
1.656 -4.002 1.307
-1.482 -1.392 1.523
-2.984 -9.905 0.864
2.036 -6.396 1.119
-4.180 -5.836 1.186
-6.501 -4.901 1.267
-0.286 -5.461 1.200
-2.045 -7.589 1.041
-2.420 -3.708 1.345
1.122 -5.179 -0.409
-5.599 -5.866 -0.437
-1.895 -8.873 -0.686
-2.583 -2.172 -0.160

# 7
Nb3Co4B7 | Materials Project | PBE | optimized geometry; energy relative to the elements = -0.59 eV per atom
1.0
5.315 6.589 -3.948
-6.472 -3.989 5.426
6.028 -0.989 6.463
Nb Co B
6 8 14
Cartesian
3.261 3.147 0.499
1.608 -1.536 7.442
3.720 1.606 3.568
1.150 0.005 4.372
-1.200 0.390 1.852
6.070 1.220 6.088
1.425 1.499 1.959
3.445 0.112 5.981
4.980 4.689 -0.868
-0.110 -3.078 8.808
6.013 3.984 1.182
-1.144 -2.373 6.759
-4.096 -1.889 3.593
8.965 3.499 4.347
6.296 5.870 -1.914
-1.426 -4.259 9.855
7.925 4.787 1.267
-3.056 -3.177 6.674
-4.288 -2.974 5.352
9.158 4.585 2.589
5.784 2.885 2.936
-0.915 -1.274 5.005
-2.183 -1.066 3.644
7.053 2.677 4.296
8.709 5.839 0.031
-3.840 -4.228 7.909
-5.728 -3.918 5.885
10.598 5.529 2.056

# 8
Nd2Co7B3 | Materials Project | PBE | optimized geometry; energy relative to the elements = -0.30 eV per atom
1.0
2.565 -4.443 0.000
2.565 4.443 0.000
0.000 0.000 12.707
Nd Co B
4 14 6
Cartesian